As regular readers have probably realised, the rose is one of my favourite flowers… to me it epitomises our English summer. I have many roses in my garden, though my favourites of all are the wild dog roses that festoon our Devon hedgerows in June.
If you’d like the chance to be selected as winner of the Rosie Posie Journal by a large black furry paw then please leave a comment below telling us which is your favourite flower. (I did think of asking about favourite dog, but clearly all those not answering female black Newfoundland would have been eliminated by our judge!). The draw will close at midday (BST) Sunday 11 July and the winner will be announced as soon as possible after then. I am happy to post overseas.
And finally, a big thank you to those who took the trouble to leave comments or send emails about Amy – your kind thoughts mean a lot to us all here at Coombe Leigh.
first AND FOREMOST, that amy is gorgeous! just love the big-hearted dogs and thrilled to hear she is recovering…by the by, my favorite flower is freesia, very sweet smelling!
The rosey posey cover is beautiful, you did a great job. I am torn for my favorite flower…I love hydrangea, nasturtium, forget-me-not, and the simplicity of a fresh, home-grown carnation (the smell is so strong). If I had to pick just one though, I would have to go with the wysteria. My mom has had both the bush and climbing varieties for as long as I remember. I can remember going out with tarps and flood lights when a late frost threatened so that we could protect the flower buds. There is just a special place in my heart for them.
[email protected]
My favourite flower is also a rose. It has been for as long as I can remember. The rose is my birth month flower and my daughters name is Victoria Rose. My favourite colour rose is a pink rose but I also love the Peace Rose because it reminds me of my Mum. Cant get enough of their sweet smell. Whats not to love.
What a gorgeous cover you did. My favorite flower is rose too, I love all colors and like to keep them dry to have longer. Felicidades por tan hermosos trabajos.
What a cute journal cover. I'm so glad to hear that Amy is feeling better and I hope she continues to improve.
My favorite flower is OHH I have two The rose love the lilac coloured ones, and fuchsia's especially white doubles. If I can only pick one, it has to be the Fuchsia…..
So glad Amy is responding well.
My favorite flower is OHH I have two The rose love the lilac coloured ones, and fuchsia's especially white doubles. If I can only pick one, it has to be the Fuchsia…..
So glad Amy is responding well.
My favourite flower……….now let me see, first has to be the Rose, followed closely by the Sweet Pea and the Lily.
Julie xxxxxxx
Glad to hear Amy is feeling better
My favourite flower is meadowsweet – a wild flower I know but I love it and the ditches are full of it at the moment
I love Amy! What breed of dog is she because she looks huge and loveable!! I have two favorite flowers, poppies and cabbage roses!!!
~Molly P
I audibly let out a sigh of relief to hear that Amy is feeling up to being the number chooser. I'm sure Ben could fill in nicely but it is wonderful to know that Amy is feeling better. Keep it up beautiful Amy.
The journal cover is GORGEOUS! Oh how lovely. But you want us to choose only one flower as a favorite? Oh my….really? Just one? OK, today I'm going to choose Hollyhocks. Mine are blooming so beautifully right now. I just love them standing in the garden so tall and colorful and proud. So there it is…I choose hollyhocks.
Tricky one… for picked flowers I love pink gerberas. But for the garden, roses win every time. So much so that my husband made me a wonderful rose garden yesterday, and it is lovely. Our own Rosie thought it was all in her honour of course…
what a beautiful cover!!!
my fave flowers are poppies and daisys!! hence the name of my blog shop!!
Glad your feeling more upbeat xx
Beautiful Journal Giveaway !!!
My favorite flowers are roses and orchids – I just love them – Roses for the vibrant colors and wonderful fragrance – Orchids for the unique shape/design.
Have a great day
Good luck to all with the Giveaway 🙂
I have seasonal favourites. During the summer months my favourite flower is the rose, the old fashioned type that smell amazing! In the spring time my favourite are daffodils with their cheery yellow faces just oozing Welshness!
Jille x
Lovely !!!!! I want to win!!!! PLease count me in!! My favorite flower is the yellow rose.Not sure which kind of yellow rose,just yellow.My wedding flowers were yellow roses and green gerber daisies.
Thank you.
[email protected]
Do hope dear Amy is better today. When our children are sick, it is so hard on the momma. Thank you for sharing your talents with us.
poor Amy, I hope she recovers quickly and that this set of medication does magic.
My favourite flower is a daisy – the kind people don't want in their lawns. They remind me of childhood and making daisy chains for hours and dressing up my poor suffering grandfather with them.
Sweet Peas for me fill me with glee!
I hope your daughter is up and running around quickly. The rose would have to be my most favourite flower. I have 100's of rose bushes in my garden. The sunflower is my second favourite flower. Just love the design you have made up. Happy days.
Roses are my favourite.
I'm so happy to read that Amy is feeling better. She's a real beauty.
My favorite are tulips.
I'm certainly happy to see that your daughter is doing well.
I'd have to say that my favorite flower is the lily, and secondly is the rose (especially pink ones – nothing beats the smell!) . 🙂
Thank you so much for doing this! ♥
I'm so pleased Amy is feeling better. Please give her a big hug. My favourite flower is the pansy, especially the deep purple ones. Here in Norfolk we've let our front garden grow wild, (I think the neighbours tought we had gone mad) but we scattered hundreds of wild flower seeds over it, and now it's absolutely beautiful. (Or as one visitor said, 'Isn't it about time you got rid of all those weeds?' Philastine!
Very cute!! And my favorite flower is Black-eyed Susan. Thanks for hosting this giveaway!
Just a quick note to let you know that a link to this post will be placed on CraftCrave today [06 Jul 12:00pm GMT]. Thanks, Maria
Lovely journal. I think I would have to say california poppies. They are such a bright orange and so easy to grow they make a cheerful splash of colour in the garden.
I love your journal! I love roses and all flowers. They are all my favourites. Summer brings a multitude of colour. I also have many house plants to enjoy their blooms in winter.
**Crystal structures, kept here for reference**
Below is LuTlRh2 after structural relaxation, with properties calculated at the PBE-GGA level.

Calculated values
* crystal system: cubic
* formation energy from the elements: -595 meV per atom

```
data_LuTlRh2
_chemical_formula_sum 'Lu1 Tl1 Rh2'
_cell_length_a 4.6920
_cell_length_b 4.6920
_cell_length_c 4.6920
_cell_angle_alpha 60.00
_cell_angle_beta 60.00
_cell_angle_gamma 60.00
_space_group_name_H-M_alt 'P 1'
_space_group_IT_number 1
_space_group_name_Hall 'P 1'
loop_
_atom_site_label
_atom_site_type_symbol
_atom_site_fract_x
_atom_site_fract_y
_atom_site_fract_z
Lu1 Lu 0.0000 0.0000 0.0000
Tl1 Tl 0.5000 0.5000 0.5000
Rh1 Rh 0.2500 0.2500 0.2500
Rh2 Rh 0.7500 0.7500 0.7500
```

~~~~~

Li9Mn2Co5O16 | PBE+U | optimized geometry

Values from the calculation:
The value obtained for the energy relative to the lowest polymorph listed for this composition is 45 meV/atom. As for the energy of formation: -1819 meV/atom. Its space-group type is P1, No. 1.

a = 5.0684 Å, b = 5.8332 Å, c = 9.8334 Å
α = 81.62°, β = 84.39°, γ = 89.30°
Element x y z (fractional)
Li (0.0000, 0.0000, 0.0000)
Li (0.0022, 0.5101, 0.0025)
Li (0.2467, 0.8771, 0.5103)
Li (0.2520, 0.3787, 0.5091)
Li (0.4894, 0.2549, 0.0031)
Li (0.5091, 0.7578, 0.0016)
Li (0.7469, 0.6305, 0.5118)
Li (0.7541, 0.1228, 0.5157)
Li (0.8749, 0.8160, 0.7573)
Mn (0.1253, 0.1928, 0.2581)
Mn (0.3732, 0.5679, 0.7558)
Co (0.1121, 0.6986, 0.2536)
Co (0.3774, 0.0588, 0.7575)
Co (0.6170, 0.4443, 0.2588)
Co (0.6313, 0.9370, 0.2560)
Co (0.8737, 0.3170, 0.7575)
O (0.0641, 0.1145, 0.6499)
O (0.0716, 0.5799, 0.6477)
O (0.1930, 0.3004, 0.8714)
O (0.2130, 0.7759, 0.8738)
O (0.2959, 0.9835, 0.1407)
O (0.3026, 0.4574, 0.1435)
O (0.4191, 0.1622, 0.3706)
O (0.4423, 0.6523, 0.3704)
O (0.5383, 0.8330, 0.6396)
O (0.5578, 0.3543, 0.6402)
O (0.6783, 0.5221, 0.8648)
O (0.6833, 0.0570, 0.8678)
O (0.8163, 0.7173, 0.1348)
O (0.8220, 0.2288, 0.1478)
O (0.9432, 0.4049, 0.3719)
O (0.9544, 0.9227, 0.3757)

---

LiFe2OF3 | PBE+U | optimized geometry

Values from the calculation:
The value obtained for the energy relative to the lowest polymorph listed for this composition is 28 meV/atom. As for the energy of formation: -2375 meV/atom. Its space-group type is P-1, No. 2.

a = 6.1248 Å, b = 6.1733 Å, c = 10.3612 Å
α = 90.33°, β = 90.20°, γ = 119.53°
Element x y z (fractional)
Li (0.1682, 0.3370, 0.4875)
Li (0.1689, 0.3378, 0.9875)
Li (0.8311, 0.6622, 0.0125)
Li (0.8318, 0.6630, 0.5125)
Fe (0.0002, 0.0006, 0.2502)
Fe (0.9998, 0.9994, 0.7498)
Fe (0.0007, 0.5005, 0.7502)
Fe (0.5000, 0.0000, 0.0000)
Fe (0.5000, 0.0000, 0.5000)
Fe (0.5005, 0.4996, 0.2498)
Fe (0.4995, 0.5004, 0.7502)
Fe (0.9993, 0.4995, 0.2498)
O (0.1707, 0.3414, 0.6672)
O (0.1717, 0.3427, 0.1672)
O (0.8283, 0.6573, 0.8328)
O (0.8293, 0.6586, 0.3328)
F (0.1512, 0.8355, 0.6108)
F (0.1564, 0.8396, 0.1093)
F (0.3177, 0.1605, 0.8911)
F (0.3196, 0.1646, 0.3908)
F (0.3269, 0.6539, 0.8944)
F (0.3310, 0.6591, 0.3967)
F (0.6690, 0.3409, 0.6033)
F (0.6731, 0.3461, 0.1056)
My favorite flower is the sunflower! thanks for the chance to win. Colleen
I am very fond of the flowers of the 'mock orange' tree (I don't know the proper name), the scent is wonderful. Woofs to Amy.
Glad Amy is better, my little doggie friend is also under the weather so I can empathise. Anyway, my favourite flowers are hydrangeas. I've got table clothes with them on, vases, the real thing, and I'm also attempting to make a cushion to adorn the sofa!
What a lovely book cover. My favourite flower is also the rose I just love the shape and colour, it's just the perfect flower
Love your rosie posey cover. My favorite flower is the lilac. They do not grow everywhere so everyone may not be familiar with them. They have the most heavenly scent and are a sure sign of spring.
It is SUCH a beautiful color.
My favorite is lily-of-the-valley, but, really, I adore most flowers.
We all have a special place in our hearts for our doggies and yours is no exception.
Must say SweetPeas are my most favorite flower.
Love your work.
my favorite flower is chrysanthemum
i hope amy feels better
and i love the jernal cover! realy realy!
I'm so happy Amy is feeling better! (My Old English Sheepdog, Gooey, used to have a Newfie as a girlfriend in puppy kindergarten!!)
My favorite flower (if I have to pick one) is an Echinacea.
My favourite flower is lily.
Wonderful giveaway thank you!
I love your giveaways. You are so generous!
My favorite flower is the Cabbage Rose. Big, beautiful and pink Cabbage Roses!
Thank you 🙂
My fave flower is chosen by scent and use as a tea or infusion. It is the lime flower. I remember a holiday in France – many years ago – and on the market stalls were baskets and baskets of lime flowers – tilleul – the smell was heaven. The flowers are such a lovely delicate green, look closely and there are the small petals.
I am very pleased to see your Amy is feeling better.. I love your give away, so please count me in. I'm not sure what the translation is for my favourite flower , the latin nam is "convalaria Majalis, I think it is lily of the valley. a lovely little flower with a very special flavour.. I have a few of them in my garden..mmmm
My favorite flower is the Lily of the Valley. I can remember when I was in 3rd grade (almost 50 years ago!) my teacher, Miss Leslie, wore Lily of the Valley perfume which I loved. My mother let me pick a little bouquet of the sweet little flower to bring to her one day. They have been my favorite even after all these years!
Oh my, how to narrow it down. I love pansies for color during the cool months and snapdragons during the warm ones. And peonies, with great huge blossoms, like the ones my grandmother grew!
Hi my favourite summer flower has to be a standard Fuchsia. I have one in my garden and it looks so pretty!
Hugs Lynsey x
What a beautiful blog! This is my first visit. (from Craft Gossip).
My fav flower is a violet. I've always liked them best. flowers are all lovely & it is difficult to choose just one!